Upcoming Grant Deadlines
Best Buy @15 Community Grants (Deadline: July 1) Through the @15 Community Grants Program, Best Buy teams across the United States select non-profit organizations that provide positive experiences to help teens to excel in school, engage in their communities, and develop leadership skills. This year, Best Buy Children's Foundation will give $2 million through the Community Grants Program. Best Buy seeks applications from organizations that have current 501(c)(3) tax status and are serving a diverse population of young teens in the areas of learning, life skills, leadership or relationship development. Special consideration will be given to programs that: Serve a diverse population in local or regional communities; Build social, academic, leadership and/or life skills in early adolescents (primarily ages 13-18); Show positive results against a demonstrated community need; Reach at-risk children in working families. This is an annual grant program with applications accepted June 1-July 1, 2010. Maximum award: $10,000 www.easymatch.com/bestbuygrant/
Change for the Children Grants (Deadline: July 15) DoSomething.org has teamed up with The Jonas Brothers Change for the Children Foundation to award project grants to individuals who are taking action in their communities across the U.S. and Canada. Do you have a sustainable community action project, program or idea that focuses on: the Special Olympics, Diabetes Awareness, or Volunteerism? Then these are the grants for you and your program! While projects that cover any cause are eligible to apply, special focus will be given to these three causes (the Jonas Brothers' causes!). Ten projects will receive $1,500 grants for their projects or organizations. All of the winners will be featured on DoSomething.org and ChangefortheChildren.org, and celebrated through various marketing platforms. www.dosomething.org/grants/changeforthechildren
(Calculated molecules that have nothing to do with the article)
<<<
# 1
The following is a DFT calculation (ωB97M-V/def2-TZVPD) of a 2-piece molecular cluster, C5H10O2 overall in a non-equilibrium geometry.

Output
HOMO level: -8.67 eV
ΔE to the lowest compared entry with this formula, charge and spin: 90.5 kcal per mole
Multiplicity: 1
Charge: 0
SMILES string: C=C/C=C/CO.O
LUMO level: 0.54 eV

```
17
Properties=species:S:1:pos:R:3:forces:R:3:nbo_charge:R:1
C 0.112141 -1.599678 -1.137129 -2.325 -2.528 -0.329 -0.242
C -0.913504 -2.476060 -1.345765 0.121 2.517 0.325 -0.357
C 0.823936 1.930878 -0.050790 -1.338 1.776 1.099 -0.114
O 0.169955 2.047130 1.243416 -1.751 0.737 -1.061 -0.745
C 0.788104 0.455108 -0.039621 -0.265 -0.754 -4.868 -0.158
C -0.028520 -0.193255 -0.930694 -0.089 4.161 1.137 -0.266
H 1.106755 -1.998592 -1.037175 0.311 -0.056 0.008 0.208
H -1.953968 -2.087869 -1.377452 0.793 -0.298 -0.110 0.192
H -0.802264 -3.524490 -1.436216 0.335 -0.800 -0.098 0.200
H 0.180287 2.556157 -0.795081 0.824 -1.823 0.877 0.188
H 1.775178 2.517952 -0.051005 -0.268 -1.137 0.097 0.192
H 0.732143 2.428913 1.857608 1.683 1.280 1.850 0.470
H 1.498728 -0.101730 0.518486 0.645 -0.137 0.582 0.210
H -0.813359 0.600981 -1.359806 1.496 -2.582 0.274 0.221
H -0.942631 0.601657 2.245664 0.039 0.607 -1.223 0.496
H -0.867777 -0.818071 1.441989 -0.125 0.545 -1.067 0.483
O -0.865206 -0.339031 2.253569 -0.086 -1.508 2.507 -0.979
```
Positions in Å, forces in eV/Å.



# 2
The following is a DFT calculation (ωB97M-V/def2-TZVPD) of a 2-piece molecular cluster, C5H10O2 overall in a non-equilibrium geometry.

Output
HOMO level: -8.36 eV
ΔE to the lowest compared entry with this formula, charge and spin: 98.2 kcal per mole
Multiplicity: 1
Charge: 0
SMILES string: C=C/C=C/CO.O
LUMO level: 0.06 eV

```
17
Properties=species:S:1:pos:R:3:forces:R:3:nbo_charge:R:1
C -0.737909 1.346111 0.224068 -0.481 -0.417 1.313 -0.242
C -0.846267 2.677475 0.400591 -0.979 -1.249 -0.982 -0.373
C 1.414721 -1.862392 0.847531 -2.190 0.365 1.069 -0.100
O 2.127525 -1.882230 -0.373946 0.051 0.925 0.411 -0.696
C 0.196055 -0.895418 1.011957 0.409 -0.179 -0.911 -0.239
C 0.159311 0.444394 0.962858 0.332 1.491 0.703 -0.191
H -1.302794 0.846334 -0.563034 0.083 0.481 0.147 0.234
H -0.489713 3.309973 1.203258 0.393 -0.229 -0.139 0.204
H -1.519245 3.073674 -0.354096 0.107 0.771 0.341 0.200
H 2.073921 -1.715903 1.686976 0.626 -0.494 0.040 0.190
H 0.799152 -2.757344 0.851748 0.861 -0.909 0.747 0.162
H 1.469038 -1.763512 -1.057598 -0.089 0.048 -0.413 0.458
H -0.747066 -1.429226 1.100659 -0.252 -0.016 -1.261 0.187
H 0.842924 1.061286 1.552106 1.182 -0.438 -0.777 0.195
H -1.142655 -0.895221 -2.234903 0.247 -0.415 0.055 0.470
H -0.785023 0.485621 -2.808419 -0.169 -0.246 0.106 0.476
O -1.511974 -0.043622 -2.449756 -0.132 0.511 -0.449 -0.934
```
Positions in Å, forces in eV/Å.



# 3
The following is a DFT calculation (ωB97M-V/def2-TZVPD) of one molecule with the formula C5H10O2.

Output
HOMO level: -8.28 eV
>>>
AMA Foundation Healthy Living Grant Program (Deadline: July 15 ) The Healthy Living Grant Program, an initiative of the AMA Foundation, supports grassroots public health projects that encourage healthy lifestyles in communities across the nation. Grants of up to $5,000 will be awarded in the following three categories: Nutrition/Physical Fitness; Alcohol, Substance Abuse, and Smoking Prevention; and Violence Prevention. Funded projects should target underserved and/or at-risk youth between the ages of 2-21. Organizations that have been in existence for at least one year and that have an annual operating budget of $500,000 or less are eligible to apply. Application guidelines and forms are available at: www.ama-assn.org/ama/pub/about-ama/ama-foundation/our-programs/public-health/healthy-living-grants.shtml
WhyHunger: Harry Chapin Self-Reliance Awards (Deadline: July 15) The Harry Chapin Self-Reliance Awards program, administered by WhyHunger, provides grants to community-based organizations judged outstanding for their innovative approaches to fighting hunger and poverty in the United States by empowering people and building self-reliance. The awards honor those organizations that help people improve their own lives and the communities in which they live. Eligible organizations must offer program activities that go beyond emergency food, shelter, and other types of assistance to address the root causes of poverty. (Organizations providing only basic services will not be considered.) In this grant cycle, ten organizations will receive awards of up to $7,000. www.whyhunger.org/programs/grassroots-action-network/272.html
~~~
Record 1
C45H59N4O3PS3Se2TeV | wB97M-V/def2-TZVPD

The multiplicity is 4. Its HOMO energy (spin up / spin down) is -0.0420 / -0.0442 hartree. Its expectation value of S² is 3.788. The charge is -2.

XYZ file:
```
119
Properties=species:S:1:pos:R:3:forces:R:3:mulliken_charge:R:1
V 0.87442 -0.77067 -0.16763 -0.8 0.0 0.8 -0.227
S -0.84120 -1.48307 -1.70394 0.2 0.3 -0.1 -0.512
C -2.02027 -0.23973 -1.41029 0.3 0.1 -0.2 -0.436
N -3.29423 -0.58426 -1.01375 -0.2 0.0 0.3 0.729
C -3.95988 0.36077 -0.13514 -0.1 0.1 0.0 -0.684
C -3.94612 1.72377 -0.77451 0.1 0.0 0.0 -0.878
N -2.58674 2.08253 -1.11402 -0.2 0.1 -0.1 0.190
C -2.32750 3.49945 -1.23158 0.0 0.3 0.0 -1.191
C -3.10356 4.13593 -2.35758 0.0 -0.1 0.0 0.474
C -2.85377 3.76550 -3.67843 0.0 0.0 0.0 -0.042
C -3.58579 4.32372 -4.71190 0.0 0.0 0.0 -0.803
C -4.57951 5.26035 -4.44759 0.0 0.0 0.0 -0.298
C -4.83454 5.63321 -3.13766 0.0 0.0 0.0 -0.675
C -4.09973 5.06812 -2.10210 0.0 0.1 0.0 -0.174
C -1.69751 1.15344 -1.57098 0.0 -0.3 0.0 -0.190
S -0.27246 1.62389 -2.32911 0.1 -0.2 -0.2 -0.207
C -3.69409 -1.95981 -0.80426 0.1 -0.2 0.0 -1.072
C -4.98681 -2.24793 -1.52175 -0.1 0.1 0.0 0.099
C -5.04916 -2.14877 -2.91102 0.0 0.0 0.0 -0.480
C -6.23447 -2.38256 -3.58327 -0.1 0.0 0.0 -0.613
C -7.38641 -2.71654 -2.87639 0.0 0.0 0.0 -0.338
C -7.33585 -2.81741 -1.49688 0.0 0.0 0.0 -0.678
C -6.13977 -2.58139 -0.82667 0.0 -0.1 0.0 -0.097
H -3.43297 0.38197 0.82935 -0.1 0.0 -0.1 0.069
H -4.98914 0.03331 0.02641 0.0 0.0 -0.1 0.550
H -4.33605 2.46365 -0.06959 0.0 0.0 0.0 0.448
H -4.58878 1.74079 -1.66694 0.0 0.0 0.0 0.314
H -1.25180 3.62649 -1.36805 -0.1 0.1 0.1 0.203
H -2.60035 3.97223 -0.28292 0.0 0.0 0.0 0.376
H -2.07612 3.03589 -3.87081 0.0 0.0 0.0 0.356
H -3.37933 4.02770 -5.73250 0.0 0.0 0.0 0.368
H -5.14991 5.69368 -5.25898 0.0 0.0 0.0 0.361
H -5.60740 6.35954 -2.91823 0.0 0.0 0.0 0.352
H -4.29866 5.35569 -1.07592 0.0 0.0 0.0 0.365
H -3.79073 -2.16193 0.26840 0.0 0.0 0.0 0.179
H -2.89663 -2.60761 -1.17407 -0.1 0.0 0.1 0.738
H -4.15365 -1.87656 -3.45455 0.1 0.0 0.0 0.462
H -6.26544 -2.30179 -4.66201 0.0 0.0 0.0 0.375
H -8.31563 -2.89214 -3.40244 0.0 0.0 0.0 0.354
H -8.22640 -3.07350 -0.93680 0.0 0.0 0.0 0.363
H -6.09680 -2.65926 0.25340 0.0 0.0 0.0 0.406
C 1.60253 -1.15743 -4.67491 -0.1 0.0 0.0 -1.021
C 2.57000 -0.16864 -4.07546 0.0 0.0 0.0 0.609
O 3.27273 -0.81886 -3.00099 0.1 -0.1 -0.2 -0.218
P 3.58831 -0.04486 -1.65808 -0.3 0.2 0.6 0.254
O 2.26551 0.28987 -0.92304 1.0 -0.4 -0.6 0.799
Te 5.35491 -1.20717 -0.59259 -0.2 0.1 -0.1 -0.550
O 4.10784 1.36384 -2.18348 0.0 0.2 -0.2 -0.375
C 3.80983 2.62206 -1.53308 0.1 -0.1 0.0 0.928
C 2.97266 3.47920 -2.44547 0.0 0.1 0.0 -0.981
H 1.04404 -0.67356 -5.47918 0.0 0.0 0.0 0.377
H 0.88613 -1.49305 -3.92340 0.1 0.1 0.0 -0.012
H 2.13158 -2.02208 -5.07869 0.0 0.0 0.0 0.360
H 2.04607 0.71194 -3.70660 -0.1 0.0 0.0 -0.315
H 3.32725 0.15445 -4.79535 0.0 0.0 0.0 0.264
H 4.78119 3.07948 -1.32770 0.0 0.0 0.0 0.339
H 3.28930 2.45913 -0.59109 -0.1 -0.1 0.0 -0.776
~~~
Back to the page.
2010 LEGO® Smart™ Creativity Contest (Pre-Registration Deadline: July 30) LEGO® Education is inviting K-12 teachers and home educators from across the United States to register as contestants for the 2010 LEGO® Smart™ Creativity Contest, challenging classrooms coast to coast to become LEGO Smart! If you are a teacher, home educator, after-school program director, or otherwise working with students (K-12) within the education field, you are eligible to compete in this year's contest. The 2010 contest, including prize information and contest rules, will be emailed to all pre-registered contestants on Monday, August 2, 2010. Register at: www.legoeducation.us/about/item.aspx?art=3465&bhcp=1
Change for the Children Grants (Deadline: July 15) DoSomething.org has teamed up with The Jonas Brothers Change for the Children Foundation to award project grants to individuals who are taking action in their communities across the U.S. and Canada. Do you have a sustainable community action project, program or idea that focuses on: the Special Olympics, Diabetes Awareness, or Volunteerism? Then these are the grants for you and your program! While projects that cover any cause are eligible to apply, special focus will be given to these three causes (the Jonas Brothers' causes!). Ten projects will receive $1,500 grants for their projects or organizations. All of the winners will be featured on DoSomething.org and ChangefortheChildren.org, and celebrated through various marketing platforms. www.dosomething.org/grants/changeforthechildren
AMA Foundation Healthy Living Grant Program (Deadline: July 15 ) The Healthy Living Grant Program, an initiative of the AMA Foundation, supports grassroots public health projects that encourage healthy lifestyles in communities across the nation. Grants of up to $5,000 will be awarded in the following three categories: Nutrition/Physical Fitness; Alcohol, Substance Abuse, and Smoking Prevention; and Violence Prevention. Funded projects should target underserved and/or at-risk youth between the ages of 2-21. Organizations that have been in existence for at least one year and that have an annual operating budget of $500,000 or less are eligible to apply. Application guidelines and forms are available at: www.ama-assn.org/ama/pub/about-ama/ama-foundation/our-programs/public-health/healthy-living-grants.shtml
WhyHunger: Harry Chapin Self-Reliance Awards (Deadline: July 15) The Harry Chapin Self-Reliance Awards program, administered by WhyHunger, provides grants to community-based organizations judged outstanding for their innovative approaches to fighting hunger and poverty in the United States by empowering people and building self-reliance. The awards honor those organizations that help people improve their own lives and the communities in which they live. Eligible organizations must offer program activities that go beyond emergency food, shelter, and other types of assistance to address the root causes of poverty. (Organizations providing only basic services will not be considered.) In this grant cycle, ten organizations will receive awards of up to $7,000. www.whyhunger.org/programs/grassroots-action-network/272.html
# Between two parts of the piece: molecular data
........
No. 1
ORCA calculation (ωB97M-V/def2-TZVPD) on C2H4N2OS in the gas phase.

Bonds (Å) are listed after each position.
Atoms and positions in Å:
1 H 1.9834 -1.2598 -1.0525  N2 1.204
2 N 2.0762 -0.0771 -0.8472  H1 1.204, C3 1.325
3 C 1.4594 0.5726 0.1292  N2 1.325, N4 1.438, H8 1.229
4 N 0.4095 -0.1721 0.7692  C3 1.438, S5 1.657, H9 1.062
5 S -0.5689 -1.2590 -0.0105  N4 1.657, C6 1.823
6 C -1.8580 -0.0463 -0.4472  S5 1.823, O7 1.144, H10 1.219
7 O -1.7388 1.0783 -0.2718  C6 1.144
8 H 1.4585 1.6105 0.7868  C3 1.229
9 H -0.2214 -0.0354 1.6125  N4 1.062
10 H -2.9999 -0.4117 -0.6685  C6 1.219

LUMO ... 0.6 eV
SMILES string ... [H]/N=C\NSC=O
Molar mass ... 104.1 g mol⁻¹
Total charge ... 0
E_HOMO ... -9.3 eV
Energy ... -661.41820 Eh
Energy above the lowest of the compared OMol25 structures with the same formula, charge and spin ... 439.3 kJ/mol

No. 2
ORCA calculation (ωB97M-V/def2-TZVPD) on C2H4N2OS in the gas phase.

Bonds (Å) are listed after each position.
Atoms and positions in Å:
1 H 1.5506 -1.5360 0.6144  N2 1.032
2 N 1.7767 -0.5903 0.2678  H1 1.032, C3 1.272
3 C 0.6745 -0.0217 -0.0155  N2 1.272, N4 1.366, C5 1.546
4 N 0.7431 1.2323 -0.5537  C3 1.366, H8 0.990, H9 1.034
5 C -0.6931 -0.6677 0.3066  C3 1.546, O6 1.198, S7 1.802
6 O -0.8506 -1.6291 1.0032  C5 1.198
7 S -2.0064 0.1800 -0.5891  C5 1.802, H10 1.363
8 H -0.0076 1.8329 -0.7909  N4 0.990
9 H 1.7265 1.5513 -0.5201  N4 1.034
10 H -2.9136 -0.3518 0.2774  S7 1.363

LUMO ... 0.0 eV
SMILES string ... [H]/N=C(/N)C(=O)S
Molar mass ... 104.1 g mol⁻¹
Total charge ... 0
E_HOMO ... -9.6 eV
Energy ... -661.54059 Eh
Energy above the lowest of the compared OMol25 structures with the same formula, charge and spin ... 118.0 kJ/mol

No. 3
ORCA calculation (ωB97M-V/def2-TZVPD) on C2H4N2OS in the gas phase.

Bonds (Å) are listed after each position.
Atoms and positions in Å:
1 C 0.0801 -1.3419 -0.2208  C2 1.276, O5 1.423, H7 1.083
2 C 0.9827 -1.2553 0.6768  C1 1.276, H8 1.052
3 N -0.9788 0.7600 0.2202  N4 1.380, O5 1.387, S6 1.649
4 N -0.2716 1.7153 -0.4812  N3 1.380, H9 1.015, H10 1.021
5 O -1.0345 -0.4770 -0.4040  C1 1.423, N3 1.387
6 S -0.6694 0.7070 1.8392  N3 1.649
7 H -0.0561 -2.0839 -0.9976  C1 1.083
8 H 1.8406 -1.3707 1.2737  C2 1.052
9 H -0.6279 1.8016 -1.4273  N4 1.015
10 H 0.7348 1.5450 -0.4791  N4 1.021

LUMO (alpha / beta) ... -1.1 / -0.7 eV
Molar mass ... 104.1 g mol⁻¹
Total charge ... 0
E_HOMO (alpha / beta) ... -8.7 / -8.7 eV
Energy ... -661.31671 Eh
Energy above the lowest of the compared OMol25 structures with the same formula, charge and spin ... 705.8 kJ/mol

No. 4
ORCA calculation (ωB97M-V/def2-TZVPD) on C2H4N2OS2 in the gas phase.

Bonds (Å) are listed after each position.
Atoms and positions in Å:
1 N -1.1823 1.1910 -0.0319  C2 1.355, H8 1.004, H9 1.059
2 C -1.4789 -0.1302 0.0238  N1 1.355, S3 1.660, O4 1.363
3 S -2.9815 -0.8133 -0.1576  C2 1.660
4 O -0.4309 -0.9465 0.3304  C2 1.363, N5 1.383
5 N 0.7748 -0.2989 0.5306  O4 1.383, C6 1.354, H10 0.993
........
2010 LEGO® Smart™ Creativity Contest (Pre-Registration Deadline: July 30) LEGO® Education is inviting K-12 teachers and home educators from across the United States to register as contestants for the 2010 LEGO® Smart™ Creativity Contest, challenging classrooms coast to coast to become LEGO Smart! If you are a teacher, home educator, after-school program director, or otherwise working with students (K-12) within the education field, you are eligible to compete in this year's contest. The 2010 contest, including prize information and contest rules, will be emailed to all pre-registered contestants on Monday, August 2, 2010. Register at: www.legoeducation.us/about/item.aspx?art=3465&bhcp=1